Activity =
What is needed: repeat everything underneath without additions.

Data =
=====
Entry 1:
This record from Alexandria via LeMat-Bulk describes a PBEsol-optimized structure of SrHf3Ag. The functional is SCAN.

The structure in CIF format:
```
data_SrHf3Ag
_chemical_formula_sum 'Sr1 Hf3 Ag1'
_space_group_name_H-M_alt 'P 1'
_space_group_IT_number 1
_cell_length_a 5.179
_cell_length_b 5.179
_cell_length_c 5.179
_cell_angle_alpha 90.00
_cell_angle_beta 90.00
_cell_angle_gamma 90.00
loop_
_space_group_symop_operation_xyz
'x,y,z'
loop_
_atom_site_label
_atom_site_type_symbol
_atom_site_fract_x
_atom_site_fract_y
_atom_site_fract_z
Sr1 Sr 0.000 0.000 0.000
Hf1 Hf 0.000 0.500 0.500
Hf2 Hf 0.500 0.000 0.500
Hf3 Hf 0.500 0.500 0.000
Ag1 Ag 0.500 0.500 0.500
```


Entry 2:
This record from Alexandria via LeMat-Bulk describes a PBEsol-optimized structure of SrYHf2Ag. The functional is SCAN.

The structure in CIF format:
```
data_SrYHf2Ag
_chemical_formula_sum 'Sr1 Y1 Hf2 Ag1'
_space_group_name_H-M_alt 'P 1'
_space_group_IT_number 1
_cell_length_a 5.212
_cell_length_b 5.212
_cell_length_c 5.523
_cell_angle_alpha 90.00
_cell_angle_beta 90.00
_cell_angle_gamma 90.00
loop_
_space_group_symop_operation_xyz
'x,y,z'
loop_
_atom_site_label
_atom_site_type_symbol
_atom_site_fract_x
_atom_site_fract_y
_atom_site_fract_z
Sr1 Sr 0.000 0.000 0.000
Y1 Y 0.500 0.500 0.000
Hf1 Hf 0.000 0.500 0.500
Hf2 Hf 0.500 0.000 0.500
Ag1 Ag 0.000 0.000 0.500
```


Entry 3:
This record from Alexandria via LeMat-Bulk describes a PBEsol-optimized structure of HfTlAg2. The functional is SCAN.

The structure in CIF format:
```
data_HfTlAg2
_chemical_formula_sum 'Hf1 Tl1 Ag2'
_space_group_name_H-M_alt 'P 1'
_space_group_IT_number 1
_cell_length_a 4.745
_cell_length_b 4.745
_cell_length_c 4.745
_cell_angle_alpha 60.00
_cell_angle_beta 60.00
_cell_angle_gamma 60.00
loop_
_space_group_symop_operation_xyz
'x,y,z'
loop_
_atom_site_label
_atom_site_type_symbol
_atom_site_fract_x
_atom_site_fract_y
_atom_site_fract_z
Hf1 Hf 0.000 0.000 0.000
Tl1 Tl 0.500 0.500 0.500
Ag1 Ag 0.250 0.250 0.250
Ag2 Ag 0.750 0.750 0.750
```


Entry 4:
This record from Alexandria via LeMat-Bulk describes a PBEsol-optimized structure of YHf2Ag. The functional is SCAN.

The structure in CIF format:
```
data_YHf2Ag
_chemical_formula_sum 'Y1 Hf2 Ag1'
_space_group_name_H-M_alt 'P 1'
_space_group_IT_number 1
_cell_length_a 4.914
_cell_length_b 4.914
_cell_length_c 4.914
_cell_angle_alpha 60.00
_cell_angle_beta 60.00
_cell_angle_gamma 60.00
loop_
_space_group_symop_operation_xyz
'x,y,z'
loop_
_atom_site_label
_atom_site_type_symbol
_atom_site_fract_x
_atom_site_fract_y
_atom_site_fract_z
Y1 Y 0.000 0.000 0.000
Hf1 Hf 0.250 0.250 0.250
Hf2 Hf 0.750 0.750 0.750
Ag1 Ag 0.500 0.500 0.500
```


| no. | calculated volume (Å³/cell) | energy of formation (meV per atom) |
| --- | --- | --- |
| 1 | 139 | 923 |
| 2 | 150 | 788 |
| 3 | 76 | 159 |
| 4 | 84 | 364 |

* * * * *

# 1
Computed, not measured: an optimized crystal structure of NiSbAs2Se at the PBE level of DFT.

a b c (Å): 5.2489 5.2489 5.2535
angles (deg): 90.00 90.00 90.00
Closest atoms and distances in Å follow each position.
Atoms (fractional coordinates):
Sb 0.0000 0.0000 0.0000  4 As 2.62, 2 Se 2.63
As 0.0000 0.5000 0.0000  2 Sb 2.62
As 0.5000 0.0000 0.0000  2 Sb 2.62
Se 0.0000 0.0000 0.5000  2 Sb 2.63
Ni 0.5000 0.5000 0.5000  4 Se 3.71, 8 As 3.71

The value obtained for the energy above the lowest structure with this stoichiometry is 4.77 eV/f.u. The magnetization is 0.276 μB/atom. Its space group is P4/mmm (123). As for the energy: -16.237 eV per formula unit. The value obtained for the formation energy without anion corrections is 1290 meV per atom.


# 2
Computed, not measured: an optimized crystal structure of Sc3SnN at the PBE level of DFT.

a b c (Å): 19.7251 5.8543 5.8543
angles (deg): 134.15 148.40 31.60
Closest atoms and distances in Å follow each position.
Atoms (fractional coordinates):
Sc 0.3102 0.7755 0.2245  2 N 2.21-2.27
Sc 0.6898 0.2245 0.7755  2 N 2.21-2.27
Sc 0.1703 0.2909 0.7091  1 N 2.18
=====

Worked solution =
Entry 1:
This record from Alexandria via LeMat-Bulk describes a PBEsol-optimized structure of SrHf3Ag. The functional is SCAN.

The structure in CIF format:
```
data_SrHf3Ag
_chemical_formula_sum 'Sr1 Hf3 Ag1'
_space_group_name_H-M_alt 'P 1'
_space_group_IT_number 1
_cell_length_a 5.179
_cell_length_b 5.179
_cell_length_c 5.179
_cell_angle_alpha 90.00
_cell_angle_beta 90.00
_cell_angle_gamma 90.00
loop_
_space_group_symop_operation_xyz
'x,y,z'
loop_
_atom_site_label
_atom_site_type_symbol
_atom_site_fract_x
_atom_site_fract_y
_atom_site_fract_z
Sr1 Sr 0.000 0.000 0.000
Hf1 Hf 0.000 0.500 0.500
Hf2 Hf 0.500 0.000 0.500
Hf3 Hf 0.500 0.500 0.000
Ag1 Ag 0.500 0.500 0.500
```


Entry 2:
This record from Alexandria via LeMat-Bulk describes a PBEsol-optimized structure of SrYHf2Ag. The functional is SCAN.

The structure in CIF format:
```
data_SrYHf2Ag
_chemical_formula_sum 'Sr1 Y1 Hf2 Ag1'
_space_group_name_H-M_alt 'P 1'
_space_group_IT_number 1
_cell_length_a 5.212
_cell_length_b 5.212
_cell_length_c 5.523
_cell_angle_alpha 90.00
_cell_angle_beta 90.00
_cell_angle_gamma 90.00
loop_
_space_group_symop_operation_xyz
'x,y,z'
loop_
_atom_site_label
_atom_site_type_symbol
_atom_site_fract_x
_atom_site_fract_y
_atom_site_fract_z
Sr1 Sr 0.000 0.000 0.000
Y1 Y 0.500 0.500 0.000
Hf1 Hf 0.000 0.500 0.500
Hf2 Hf 0.500 0.000 0.500
Ag1 Ag 0.000 0.000 0.500
```


Entry 3:
This record from Alexandria via LeMat-Bulk describes a PBEsol-optimized structure of HfTlAg2. The functional is SCAN.

The structure in CIF format:
```
data_HfTlAg2
_chemical_formula_sum 'Hf1 Tl1 Ag2'
_space_group_name_H-M_alt 'P 1'
_space_group_IT_number 1
_cell_length_a 4.745
_cell_length_b 4.745
_cell_length_c 4.745
_cell_angle_alpha 60.00
_cell_angle_beta 60.00
_cell_angle_gamma 60.00
loop_
_space_group_symop_operation_xyz
'x,y,z'
loop_
_atom_site_label
_atom_site_type_symbol
_atom_site_fract_x
_atom_site_fract_y
_atom_site_fract_z
Hf1 Hf 0.000 0.000 0.000
Tl1 Tl 0.500 0.500 0.500
Ag1 Ag 0.250 0.250 0.250
Ag2 Ag 0.750 0.750 0.750
```


Entry 4:
This record from Alexandria via LeMat-Bulk describes a PBEsol-optimized structure of YHf2Ag. The functional is SCAN.

The structure in CIF format:
```
data_YHf2Ag
_chemical_formula_sum 'Y1 Hf2 Ag1'
_space_group_name_H-M_alt 'P 1'
_space_group_IT_number 1
_cell_length_a 4.914
_cell_length_b 4.914
_cell_length_c 4.914
_cell_angle_alpha 60.00
_cell_angle_beta 60.00
_cell_angle_gamma 60.00
loop_
_space_group_symop_operation_xyz
'x,y,z'
loop_
_atom_site_label
_atom_site_type_symbol
_atom_site_fract_x
_atom_site_fract_y
_atom_site_fract_z
Y1 Y 0.000 0.000 0.000
Hf1 Hf 0.250 0.250 0.250
Hf2 Hf 0.750 0.750 0.750
Ag1 Ag 0.500 0.500 0.500
```


| no. | calculated volume (Å³/cell) | energy of formation (meV per atom) |
| --- | --- | --- |
| 1 | 139 | 923 |
| 2 | 150 | 788 |
| 3 | 76 | 159 |
| 4 | 84 | 364 |

* * * * *

# 1
Computed, not measured: an optimized crystal structure of NiSbAs2Se at the PBE level of DFT.

a b c (Å): 5.2489 5.2489 5.2535
angles (deg): 90.00 90.00 90.00
Closest atoms and distances in Å follow each position.
Atoms (fractional coordinates):
Sb 0.0000 0.0000 0.0000  4 As 2.62, 2 Se 2.63
As 0.0000 0.5000 0.0000  2 Sb 2.62
As 0.5000 0.0000 0.0000  2 Sb 2.62
Se 0.0000 0.0000 0.5000  2 Sb 2.63
Ni 0.5000 0.5000 0.5000  4 Se 3.71, 8 As 3.71

The value obtained for the energy above the lowest structure with this stoichiometry is 4.77 eV/f.u. The magnetization is 0.276 μB/atom. Its space group is P4/mmm (123). As for the energy: -16.237 eV per formula unit. The value obtained for the formation energy without anion corrections is 1290 meV per atom.


# 2
Computed, not measured: an optimized crystal structure of Sc3SnN at the PBE level of DFT.

a b c (Å): 19.7251 5.8543 5.8543
angles (deg): 134.15 148.40 31.60
Closest atoms and distances in Å follow each position.
Atoms (fractional coordinates):
Sc 0.3102 0.7755 0.2245  2 N 2.21-2.27
Sc 0.6898 0.2245 0.7755  2 N 2.21-2.27
Sc 0.1703 0.2909 0.7091  1 N 2.18